Gut bacteria produced compounds can treat inflammation

Gut bacteria produced compounds can treat inflammation
Researchers have found naturally occurring compounds in the gut that can be harnessed to reduce inflammation and other symptoms of digestive issues. This can be achieved by binding the compounds to an important, but poorly understood, nuclear receptor.
The gut microbiome hosts bacteria that produce compounds as by-products of feeding on our digestive remnants. The compounds can bind to nuclear receptors, which help transcribe DNA to produce proteins and non-coding RNA segments.
By identifying which microbial by-products can be leveraged to regulate receptors, researchers hope to tap into their potential to treat disease.
“We conducted an unbiased screen of small molecules across the human gut microbiome,” said the first author on the study. “We found that these molecules act similarly to artificial compounds that are currently being used to regulate the constitutive androstane receptor, otherwise known as CAR. This makes them viable candidates for drug development.”
The study was recently published in the journal Nature Communications.
What comes next are crystal structures, not part of the piece.
____________
# 1
This record from the Materials Project database describes AlBrO after structural relaxation. The functional is PBE.

Computed properties:
ΔH_f (0 K): -232.06 kJ/mol of atoms
energy: -5.620 eV/atom

Lattice parameters (Å, degrees): 5.037 5.657 9.174 90.00 90.00 90.00
Element x y z (fractional)
O: 0.147 0.872 0.968
O: 0.647 0.128 0.032
O: 0.147 0.372 0.032
O: 0.647 0.628 0.968
Br: 0.091 0.001 0.318
Br: 0.591 0.999 0.682
Br: 0.091 0.501 0.682
Br: 0.591 0.499 0.318
Al: 0.491 0.907 0.914
Al: 0.991 0.093 0.086
Al: 0.491 0.407 0.086
Al: 0.991 0.593 0.914


# 2
This record from the Materials Project database describes Pr32In3Rh19 after structural relaxation. The functional is PBE.

Computed properties:
ΔH_f (0 K): -55.33 kJ/mol of atoms
energy: -6.151 eV/atom

Lattice parameters (Å, degrees): 11.925 11.925 10.103 90.00 90.00 90.75
Element x y z (fractional)
Pr: 0.420 0.791 0.307
Pr: 0.993 0.993 0.201
Pr: 0.644 0.644 0.500
Pr: 0.787 0.576 0.000
Pr: 0.715 0.071 0.000
Pr: 0.707 0.918 0.304
Pr: 0.207 0.582 0.694
Pr: 0.080 0.293 0.303
Pr: 0.856 0.142 0.500
Pr: 0.357 0.357 0.500
Pr: 0.441 0.216 0.000
Pr: 0.207 0.582 0.306
Pr: 0.918 0.707 0.304
Pr: 0.499 0.499 0.193
Pr: 0.142 0.856 0.500
Pr: 0.071 0.715 0.000
Pr: 0.582 0.207 0.306
Pr: 0.582 0.207 0.694
Pr: 0.302 0.913 0.000
Pr: 0.293 0.080 0.303
Pr: 0.791 0.420 0.693
Pr: 0.707 0.918 0.696
Pr: 0.913 0.302 0.000
Pr: 0.080 0.293 0.697
Pr: 0.576 0.787 0.000
Pr: 0.293 0.080 0.697
Pr: 0.216 0.441 0.000
Pr: 0.791 0.420 0.307
Pr: 0.499 0.499 0.807
Pr: 0.918 0.707 0.696
Pr: 0.993 0.993 0.799
Pr: 0.420 0.791 0.693
Rh: 0.322 0.322 0.219
Rh: 0.177 0.823 0.224
Rh: 0.897 0.897 0.500
Rh: 0.823 0.177 0.224
Rh: 0.344 0.656 0.000
Rh: 0.398 0.602 0.500
Rh: 0.656 0.344 0.000
Rh: 0.501 0.999 0.158
Rh: 0.676 0.676 0.777
Rh: 0.844 0.844 0.000
Rh: 0.676 0.676 0.223
Rh: 0.999 0.501 0.842
Rh: 0.322 0.322 0.781
Rh: 0.103 0.103 0.500
Rh: 0.177 0.823 0.776
Rh: 0.999 0.501 0.158
Rh: 0.823 0.177 0.776
Rh: 0.501 0.999 0.842
Rh: 0.602 0.398 0.500
In: 0.999 0.500 0.500
In: 0.500 0.999 0.500
In: 0.161 0.161 0.000


# 3
This record from the Materials Project database describes VSe2 after structural relaxation. The functional is PBE.

Computed properties:
ΔH_f (0 K): -97.09 kJ/mol of atoms
energy: -6.050 eV/atom

Lattice parameters (Å, degrees): 3.354 3.354 7.000 90.00 90.00 120.00
Element x y z (fractional)
V: 0.000 0.000 0.000
Se: 0.667 0.333 0.775
Se: 0.333 0.667 0.225


# 4
This record from the Materials Project database describes CsBaMg14 after structural relaxation. The functional is PBE.

Computed properties:
energy relative to the lowest polymorph listed for this composition: 15.1 meV/atom
ΔH_f (0 K): 18.27 kJ/mol of atoms
total magnetic moment: 0.0 μB per formula unit
energy: -1.387 eV/atom

Lattice parameters (Å, degrees): 7.058 7.058 10.532 90.00 90.00 120.00
Element x y z (fractional)
Mg: 0.178 0.839 0.625
Mg: 0.353 0.147 0.379
Mg: 0.663 0.327 0.125
Mg: 0.661 0.322 0.625
Mg: 0.833 0.667 0.874
Mg: 0.663 0.837 0.125
____________
CAR plays a critical role in regulating the breakdown, uptake and removal of foreign substances in the liver, including drugs. It is also involved in intestinal inflammation.
“One of the challenges with studying CAR is that there isn’t a useful compound that binds to both the human and mouse versions of the receptor – the latter being necessary for research and disease modeling prior to testing on people,” said the principal investigator on the study. “Prior efforts focused on developing molecules with strong binding and activation capability. This has resulted in synthetic regulators that over-activate the receptor, which can lead to unintended outcomes. The natural compounds that we discovered don’t cause this issue.”
Two of the compounds found in the metabolite screen were diindolylmethane (DIM) and diindolylethane (DIE). While DIM has been previously identified from sampling the human gut, DIE has not. This study is the first time DIE has been detected in the human microbiome.
The two compounds regulated CAR in both the human and mouse liver. They were also found to match the effectiveness of an artificial human CAR regulator called CITCO.
A promising finding for future research on CAR regulation was that neither compound produced side effects, like liver enlargement, in mice. This means that DIM and DIE can be used to study CAR function and regulation in mice, where the findings can be applied to humans.
“This receptor plays a role in diabetes, fatty liver disease and small intestine ulcerative colitis,” said the first author. “We could potentially treat all of these issues with the two natural compounds we found that already exist in the human gut.”